Count the lines further below that contain the word "Zn" and give the number alone.
VASP calculation (PBE) on crystalline Ac2ZnSi4Pd3 at its relaxed geometry.

The uncorrected formation energy comes out at -0.76 eV/atom. The calculated volume comes out at 195.6 Å³/cell.

Cell: 4.3735 4.3735 10.2241 Å, 90.00 90.00 90.00°
Closest atoms and distances in Å follow each position.
Space group P-4m2 (No. 115)
Unique sites:
Ac 0.0000 0.5000 0.2482 x2  8 Si 3.33-3.35, 6 Pd 3.37-3.38, 2 Zn 3.38
Zn 0.0000 0.0000 0.5000 x1  4 Si 2.57
Si 0.0000 0.0000 0.0000 x1  4 Pd 2.50
Si 0.0000 0.5000 0.6322 x2  3 Pd 2.55-2.57, 2 Zn 2.57
Si 0.5000 0.5000 0.0000 x1  4 Pd 2.50
Pd 0.0000 0.5000 0.8820 x2  5 Si 2.50-2.55
Pd 0.5000 0.5000 0.5000 x1  4 Si 2.57

VASP calculation (PBE) on crystalline RbCaRuC2 at its relaxed geometry.

The formation enthalpy at 0 K comes out at 2.97 eV/atom. The calculated volume comes out at 117.6 Å³/cell.

Cell: 4.6456 4.6456 5.4481 Å, 90.00 90.00 90.00°
Closest atoms and distances in Å follow each position.
Space group P4/mmm (No. 123)
Unique sites:
Rb 0.0000 0.0000 0.0000 x1  2 Ca 2.72
Ca 0.0000 0.0000 0.5000 x1  4 C 2.32
Ru 0.5000 0.5000 0.0000 x1  4 Rb 3.28, 8 C 3.58
C 0.0000 0.5000 0.5000 x2  2 Ca 2.32

VASP calculation (PBE) on crystalline LiAs2SBr at its relaxed geometry.

Its energy relative to the lowest polymorph listed for this composition is 0.0000 eV/atom. The uncorrected formation energy comes out at 0.21 eV/atom. The calculated volume comes out at 178.8 Å³/cell.

Cell: 4.6557 4.6557 8.2477 Å, 90.00 90.00 90.00°
Closest atoms and distances in Å follow each position.
Space group P4/mmm (No. 123)
Unique sites:
Li 0.0000 0.0000 0.0000 x1  4 Br 3.29
As 0.0000 0.5000 0.5000 x2  2 S 2.33
S 0.5000 0.5000 0.5000 x1  4 As 2.33
Br 0.5000 0.5000 0.0000 x1  4 Li 3.29

VASP calculation (PBE) on crystalline YInTc2 at its relaxed geometry.

The formation enthalpy at 0 K comes out at 0.44 eV/atom. The calculated volume comes out at 150.7 Å³/cell.

Cell: 3.4202 4.8746 9.0390 Å, 90.00 90.00 90.00°
Closest atoms and distances in Å follow each position.
Space group Cmmm (No. 65)
Unique sites:
Y 0.0000 0.0000 0.0000 x2  4 Tc 2.89, 4 Y 2.98
In 0.0000 0.0000 0.5000 x2  4 Tc 2.78, 4 In 2.98
Tc 0.0000 0.5000 0.2572 x4  2 In 2.78, 2 Y 2.89, 4 Tc 2.98

VASP calculation (PBE) on crystalline CuSbO2F at its relaxed geometry.

The uncorrected formation energy comes out at -0.77 eV/atom. The calculated volume comes out at 71.8 Å³/cell.

Cell: 4.0889 4.0889 4.2964 Å, 90.00 90.00 90.00°
Closest atoms and distances in Å follow each position.
Space group P4/mmm (No. 123)
Unique sites:
Cu 0.0000 0.0000 0.0000 x1  4 F 2.89, 8 O 2.97
Sb 0.5000 0.5000 0.5000 x1  4 O 2.04, 2 F 2.15
O 0.0000 0.5000 0.5000 x2  2 Sb 2.04
F 0.5000 0.5000 0.0000 x1  2 Sb 2.15

VASP calculation (PBE) on crystalline Te2AsRh at its relaxed geometry.

The uncorrected formation energy comes out at -0.05 eV/atom. The calculated volume comes out at 181.6 Å³/cell.

Cell: 6.8679 3.9572 7.0535 Å, 90.00 108.68 90.00°
Closest atoms and distances in Å follow each position.
Space group C2/m (No. 12)
Unique sites:
Te 0.2398 0.0000 0.2210 x4  3 Rh 2.72, 3 As 2.94-2.95
As 0.0000 0.0000 0.5000 x2  6 Te 2.94-2.95
Rh 0.0000 0.5000 0.0000 x2  6 Te 2.72

VASP calculation (PBE) on crystalline Sc2TcGeC at its relaxed geometry.

The formation enthalpy at 0 K comes out at -0.50 eV/atom. Its energy relative to the lowest polymorph listed for this composition is 0.0000 eV/atom. The calculated volume comes out at 80.3 Å³/cell.

Cell: 4.4898 4.4898 3.9818 Å, 90.00 90.00 90.00°
Closest atoms and distances in Å follow each position.
Space group P4/mmm (No. 123)
Unique sites:
Sc 0.0000 0.5000 0.0000 x2  2 C 2.24
Tc 0.0000 0.0000 0.5000 x1  2 C 1.99
Ge 0.5000 0.5000 0.5000 x1  8 Sc 3.00, 4 Tc 3.17
C 0.0000 0.0000 0.0000 x1  2 Tc 1.99

VASP calculation (PBE) on crystalline Dy4TcTe at its relaxed geometry.

The uncorrected formation energy comes out at -0.52 eV/atom. The calculated volume comes out at 644.3 Å³/cell.

Cell: 8.0748 4.1150 19.3893 Å, 90.00 90.00 90.00°
3